The First Timer's Experience

Zefier Member Posts: 23

So, I just started playing Dead by Daylight the other day. I've been watching a couple channels like TydeTyme, Monto and no0b3. I decided I wanted to play killer as a main and decided I liked the looks of Legion. (This was, before, I knew how bad the hate for the killer was.)

I've had my first few matches and, boy, the difficulty variety is on two sides of an extreme; Either I'm up against a survivor team that rushes down Gens so fast and want to bully me into submission or the survivor team is utterly braindead. I haven't found a match I could call as a healthy middleground.

My first two Legion matches I did okay, killed two survivors first match. All four the next one (One of those braindead matches I was talking about as everyone was WAY too altruistic).

After that began the great drought, lots of matches where all four survivors got away on me. The toxicity really spiked here, a lot of people stutter stepping in my line of sight, purposefully taunting and T-bagging in front of me, which at first I was like "Eh, they must realize I'm new and are rubbing it in." I'm only rank 19 after all.

Until the post game chat, where I get bombarded with "That's what you get for playing Legion!"


It's a bit of a shame because I love Legion's aesthetic (I loved the Hunter in Left 4 Dead for the same hoody aesthetic), but I do know why he's hated for what he does to the game both for killers and survivors alike. I haven't gotten to the point where I dislike playing them, probably because I have a lot to learn, a lot of skills to build on and maps to learn, but boy does the rampant bullying suuuuck.

So, one of my dailies was Trapper. I figured I'd give Legion a break after getting them to level 10, and try the daily. In almost a full 180, it was right back to the braindead teams, it was like people thought I was blind or something.

I guess maybe I have an edge, like I said I watched a bunch of youtube videos before so I had a good idea where to put Trappers Traps, by windows, pallets, and places where I feel like I'm gonna get looped, preferably as close to gens I can patrol as possible.

My first match I downed one survivor early, and hooked her. Had a trap on a window next to me, I turn around to see a survivor standing -right there- as if I didn't notice her. I promptly down her too, doesn't even try to run.

"Okay", I thought, "Lets just get some more traps, I'll let her slug for a little bit, I have to seal this area off-" Two steps later there's -another- survivor around a corner, who I also promptly down, hook both of them. I eventually catch the fourth survivor trying to save them, and naturally getting caught in said window trap.

Next match, same deal.

I guess in low rank survivors really don't get traps...? A lot of times they're falling into them when I'm not even around... I expected everything to be dismantled and me to get T-bagged on some more. Hey, at least no one's hating on me for trapper I guess!

I can't say there's a real 'Purpose' to this thread... I just kind of wanted to share my thoughts and first experiences. Figured it might be fun to start some discourse as I haven't really delved into the community much. Also don't take the negative bits as something too bad, I'm still having a lot of fun with the game. Just, interesting introspective.


  • Zefier
    Zefier Member Posts: 23

    P.S. | Oh, also, as an addition. If you're that survivor I played against last match who escaped from me twice while your entire team was down? Scuba Steve I think it was? Apologies, I wasn't BMing, I just had no idea where the closest Hooks were. New map and all.

  • Blueberry
    Blueberry Member Posts: 13,590

    It doesn't get better I'm sorry to say. The tbagging and taunting is only gonna get worse the higher you get no matter what killer you play.

  • Kim
    Kim Member Posts: 76

Calculated molecules that have nothing to do with the page >
=====
*a*
Density functional theory data (ωB97M-V with the def2-TZVPD basis set) for a 2-piece molecular cluster, C5H16N2O overall.

The geometry in ORCA input format:
```
! RIJCOSX wB97M-V def2-TZVPD def2/J DEFGRID3
* xyz 0 1
C -0.2945 -2.0896 2.6866
N -0.7917 -0.9553 1.7864
C 0.4836 -0.3807 1.0560
C 0.0498 0.7697 0.2188
N -0.1525 0.5310 -1.2066
C -0.7547 -0.8617 -1.4337
C 1.2179 0.4457 -1.8475
H -0.0816 -1.8271 3.7144
H -0.9362 -2.9589 2.5270
H 0.8039 -2.3473 2.2351
H -1.2909 -0.2292 2.3069
H 1.2119 -0.1459 1.9328
H 0.9374 -1.2693 0.7372
H 0.8906 1.5585 0.2396
H -0.9406 1.3454 0.5198
H -1.7299 -0.8547 -0.8187
H -0.0923 -1.7595 -1.0625
H -0.9236 -0.8950 -2.4779
H 1.0582 0.2221 -2.8247
H 1.5906 1.4118 -1.7230
H 2.0952 -0.0360 -1.4045
O -0.5120 3.5639 -1.9711
H -0.6384 3.6827 -1.0027
H -1.2001 3.0792 -2.1877
*
```

Its SMILES is CNCCN(C)C.O. For the orbital gap, the calculation gives 9.70 eV.

natural (NBO) atomic charge list, values in e, 2 entries: -0.422, -0.649

***

*b*
Density functional theory data (ωB97M-V with the def2-TZVPD basis set) for a 2-piece molecular cluster, C5H16N2O overall.

The geometry in ORCA input format:
```
! RIJCOSX wB97M-V def2-TZVPD def2/J DEFGRID3
* xyz 0 1
C 2.9441 0.4398 0.8396
C 1.4339 0.3540 0.7434
N 1.0621 -0.0287 -0.6074
C -0.3595 -0.1407 -0.9027
C -1.1902 1.1506 -0.5638
C -2.1757 0.9566 0.5667
N -3.3004 0.0931 0.2802
H 3.2449 0.5426 1.8850
H 3.4293 -0.4814 0.5172
H 3.3034 1.3417 0.3344
H 1.1204 -0.4387 1.4304
H 1.0105 1.3219 1.0238
H 1.6258 0.4469 -1.3072
H -0.5021 -0.5195 -1.9080
H -0.6979 -0.9085 -0.2052
H -0.4286 1.9148 -0.3823
H -1.7186 1.4310 -1.4768
H -1.7071 0.6079 1.4728
H -2.5171 1.9379 0.8923
H -4.0145 0.5180 -0.2834
H -3.0195 -0.7413 -0.2183
O 0.8620 -3.4321 -1.0529
H 1.1243 -2.5355 -0.8155
H 0.4704 -3.8302 -0.2622
*
```

Its SMILES is CCNCCCN.O. For the orbital gap, the calculation gives 9.71 eV.

natural (NBO) atomic charge list, values in e, 2 entries: -0.613, -0.219

***

Energies relative to the most stable structure are *a* 68.4; *b* 0.0, reported in kcal/mol.

***

*a*
Density functional theory data (ωB97M-V with the def2-TZVPD basis set) for a 2-piece molecular cluster, C5H16N2O overall.

The geometry in ORCA input format:
```
! RIJCOSX wB97M-V def2-TZVPD def2/J DEFGRID3
* xyz 0 1
C 2.6928 -0.1315 -0.8777
C 1.5858 -0.0877 0.2928
C 1.8237 1.1048 1.2939
N 0.2090 -0.0478 -0.1870
C -0.4643 -1.2862 -0.6696
C -1.9309 -1.0169 -0.9820
N -2.3621 0.3896 -1.1356
H 3.4922 -0.7327 -0.5027
H 3.1219 0.8464 -0.9055
H 2.1862 -0.4686 -1.7070
H 1.6056 -1.0320 0.9044
H 1.2956 0.7993 2.2319
H 1.2812 2.0683 0.9483
H 2.9033 1.3473 1.5676
H 0.0213 0.6102 -0.9880
H -0.2728 -1.9723 0.1610
H 0.0504 -1.5839 -1.7340
H -2.1088 -1.7002 -1.8425
H -2.4941 -1.3347 -0.0859
H -2.1676 0.6616 -2.1463
H -1.5609 0.8677 -0.6517
O -1.5095 0.8901 1.9861
H -0.9104 0.5465 1.2453
H -1.5377 0.0691 2.5303
*
```

Its SMILES is CC(C)NCCN.O. For the orbital gap, the calculation gives 10.00 eV.
=====

    It’s unfortunate that people who play this game can be so toxic. Tbh i have a hard time dealing with it sometimes so just try to stay positive while playing, because honestly the only person you should care about when playing killer is yourself.

  • Petraaahh
    Petraaahh Member Posts: 208

    It's always refreshing when a newcomer puts their thoughts in a clear concise and intelligent way rather than the usual I just played but this game Is terrible for (blank) reason nerf (blank) now.

    I want to say please don't feel bad for playing legion they're in the game and totally a fine pick if you enjoy them/their ascetic. In terms of the community hating them? Well theres a legion of legions on this very forum who wear the legion badge loud and proud... Honestly don't feel a need to change this because someone told you that you should post chat or because a YouTuber says they're bad.

    In the end have fun and play in which ever style caters best to this, especially in the low ranks... you can worry more about etiquette and the unwritten rules in the higher ranks and even then follow loosely so long as to keep your enjoyment up.

    Last peice of advice grow a thick skin players from both killer and survivor groups will find a way to be toxic and bad mouth you so just get used to it and learn to take negative experiences on the chin. Keep it together or they win.

    Good luck out there!

  • 53nation
    53nation Member Posts: 681

    Play every killer. They all play different. Some games you'll get a 4k, and some games you'll feel relieved to kill one. I've noticed the earlier in the day i play, the more likely I'll get knucklehead survivors. The later, more likely swf.

    Enjoy the easy kills! Drink beer or scotch while you play! Play a few rounds of survivor this weekend. Think of the tbagging as a non verbal welcome to the game- it's pretty common.

  • Zefier
    Zefier Member Posts: 23

    Day 2, got a daily for Hillbilly. Gonna try survivor in a little bit but, pfew...

    Okay so how does one even hit that Chainsaw? I feel like it's only useful for getting across the map sometimes lol, I know he's one of the top tiers but... BOY. I also caused my first ever ragequit.

    I downed a survivor by Hook, and naturally she crawled under pallet. One of her friends came up to drop the pallet and I, kinda, calmly just stepped back, making them waste a pallet while I promptly dodged it.

    They DC'd shortly after and I got to sacrifice their friend, went on to clean out the rest of the team. (Still didn't hit anyone with that bloody chainsaw though)

    Still good fun though, lots of easy bloodpoints!